## What to do
The reader should type out the lines underneath up to the one that holds "7.278", that line included.

## Contents
- - -
Here is a relaxed structure of PmMgF5 from Alexandria. Energies are from PBE.

Computed properties:
Raw total energy in eV per cell: -85.2
M_tot in μB per cell: 0.00
E_form (uncorrected) in eV per atom: -3.841
ρ in g cm⁻³: 4.078
SG: No. 15

Cell lengths 5.6739, 5.6739, 7.7439 Å; angles 109.88, 109.88, 72.13 degrees
Atoms (fractional coordinates):
Pm  0.0572  0.9428  0.7500
Pm  0.9428  0.0572  0.2500
Mg  0.5000  0.5000  0.0000
Mg  0.5000  0.5000  0.5000
F  0.1875  0.7968  0.0339
F  0.2032  0.8125  0.4661
F  0.2468  0.2840  0.3801
F  0.2840  0.2468  0.8801
F  0.4095  0.5905  0.7500
F  0.5905  0.4095  0.2500
F  0.7160  0.7532  0.1199
F  0.7532  0.7160  0.6199
F  0.7968  0.1875  0.5339
F  0.8125  0.2032  0.9661


A geometry-optimized La2MnPbO9 structure. Source: Alexandria, functional PBE+U.

## Properties
Total magnetic moment   2.3 μB per cell
SG   No. 156
Total DFT energy (no corrections)   -83.30 eV per cell

Geometry as POSCAR:
```
La2MnPbO9
1.0
2.576 -4.462 0.000
2.576 4.462 0.000
0.000 0.000 7.278
La Mn Pb O
2 1 1 9
Cartesian
0.000 0.000 3.437 La
2.576 1.487 1.247 La
2.576 1.487 4.821 Mn
2.576 -1.487 6.666 Pb
1.343 2.199 3.569 O
1.248 -0.720 1.214 O
3.840 0.757 6.000 O
2.576 -3.021 1.214 O
2.576 2.947 6.000 O
2.576 0.063 3.569 O
3.904 -0.720 1.214 O
1.312 0.757 6.000 O
3.809 2.199 3.569 O
```


[1]
Entry from Alexandria: a relaxed structure of PmDy5Au6 (GGA-PBE).

Cell and atoms, written as extended XYZ:
```
12
Lattice="5.0176 0.0020 -1.0534 -0.0030 7.1801 -0.0007 -0.9399 0.0004 8.0787" Properties=species:S:1:pos:R:3 pbc="T T T"
Au 2.5080 1.8607 -0.5268
Au 1.5667 5.3218 7.5515
Dy 1.0440 7.1810 5.0254
Au 0.5250 5.3666 2.5719
Au 3.5497 1.8159 4.4528
Dy 1.0499 3.5910 5.0445
Dy -0.0015 3.5900 -0.0003
Pm 0.0000 0.0000 0.0000
Dy 3.0247 3.5916 1.9802
Au 0.5265 1.8145 2.5721
Au 3.5482 5.3681 4.4525
Dy 3.0306 0.0015 1.9993
```


[2]
Entry from Alexandria: a relaxed structure of Sr3Ac4Tl4 (GGA-PBE).

Cell and atoms, written as extended XYZ:
```
11
Lattice="4.9254 0.0000 0.0000 0.0000 9.8596 0.0000 -2.4627 -4.9298 9.2748" Properties=species:S:1:pos:R:3 pbc="T T T"
Ac 0.0000 -1.8845 6.1680
Tl 2.4627 0.0000 4.7397
Tl 0.0000 4.9298 4.5352
- - -

## Completed
Here is a relaxed structure of PmMgF5 from Alexandria. Energies are from PBE.

Computed properties:
Raw total energy in eV per cell: -85.2
M_tot in μB per cell: 0.00
E_form (uncorrected) in eV per atom: -3.841
ρ in g cm⁻³: 4.078
SG: No. 15

Cell lengths 5.6739, 5.6739, 7.7439 Å; angles 109.88, 109.88, 72.13 degrees
Atoms (fractional coordinates):
Pm  0.0572  0.9428  0.7500
Pm  0.9428  0.0572  0.2500
Mg  0.5000  0.5000  0.0000
Mg  0.5000  0.5000  0.5000
F  0.1875  0.7968  0.0339
F  0.2032  0.8125  0.4661
F  0.2468  0.2840  0.3801
F  0.2840  0.2468  0.8801
F  0.4095  0.5905  0.7500
F  0.5905  0.4095  0.2500
F  0.7160  0.7532  0.1199
F  0.7532  0.7160  0.6199
F  0.7968  0.1875  0.5339
F  0.8125  0.2032  0.9661


A geometry-optimized La2MnPbO9 structure. Source: Alexandria, functional PBE+U.

## Properties
Total magnetic moment   2.3 μB per cell
SG   No. 156
Total DFT energy (no corrections)   -83.30 eV per cell

Geometry as POSCAR:
```
La2MnPbO9
1.0
2.576 -4.462 0.000
2.576 4.462 0.000
0.000 0.000 7.278